We offer a range of practice-based postgraduate qualifications to give real world experience https://apply-ukapplications.lsbu.ac.uk/signinIn a highly competitive jobs market our postgraduate degrees can greatly improve your employment prospects. It can focus your CV, illustrate your commitment to success and help land the job you really want.
Course credits
[Between two parts of the entry: calculated crystals]
~~~
# 1
Ti3Be: relaxed, PBE.

It has space group P6_3/mmc (No. 194), with a = 5.5511 Å, b = 5.5511 Å, c = 4.4858 Å, α = 90.00°, β = 90.00° and γ = 120.00°. The distinct sites, in fractional coordinates, are Ti at (0.1742, 0.3484, 0.2500) and Be at (0.3333, 0.6667, 0.7500).

The value obtained for the raw total energy is -6.855 eV/atom. The total moment comes out at 1.586 μB per cell. The mass density comes out at 4.23 g cm⁻³.

# 2
Ti4Be: relaxed, PBE.

It has space group Fd-3m (No. 227, origin choice 2), with a = 8.867 Å, b = 8.867 Å, c = 8.867 Å, α = 90.00°, β = 90.00° and γ = 90.00°. The distinct sites, in fractional coordinates, are Ti at (0.017, 0.017, 0.233) and Be at (0.125, 0.125, 0.625).

The value obtained for the raw total energy is -6.384 eV/atom. The total moment comes out at 0.003 μB per cell. The mass density comes out at 3.82 g cm⁻³.

# 3
Ti3Be: relaxed, PBE.

It has space group I4/mmm (No. 139), with a = 3.850 Å, b = 3.850 Å, c = 8.026 Å, α = 90.00°, β = 90.00° and γ = 90.00°. The distinct sites, in fractional coordinates, are Ti at (0.000, 0.000, 0.000), Ti at (0.000, 0.500, 0.250) and Be at (0.000, 0.000, 0.500).

The value obtained for the raw total energy is -6.857 eV/atom. The total moment comes out at 0.002 μB per cell. The mass density comes out at 4.26 g cm⁻³.

# 4
Be22W: relaxed, PBE.

It has space group Fd-3m (No. 227, origin choice 2), with a = 11.564 Å, b = 11.564 Å, c = 11.564 Å, α = 90.00°, β = 90.00° and γ = 90.00°. The distinct sites, in fractional coordinates, are Be at (0.000, 0.000, 0.000), Be at (0.000, 0.000, 0.500), Be at (0.010, 0.375, 0.375), Be at (0.060, 0.060, 0.824) and W at (0.125, 0.125, 0.625).

The value obtained for the raw total energy is -4.181 eV/atom. The mass density comes out at 3.28 g cm⁻³.

# 5
Be2W: relaxed, PBE.

It has space group P6_3/mmc (No. 194), with a = 4.4604 Å, b = 4.4604 Å, c = 7.3336 Å, α = 90.00°, β = 90.00° and γ = 120.00°. The distinct sites, in fractional coordinates, are Be at (0.0000, 0.0000, 0.0000), Be at (0.1698, 0.3397, 0.2500) and W at (0.3333, 0.6667, 0.5623).

The value obtained for the raw total energy is -7.116 eV/atom. The mass density comes out at 10.61 g cm⁻³.

# 6
ZrBe5: relaxed, PBE.

It has space group P6/mmm (No. 191), with a = 4.5652 Å, b = 4.5652 Å, c = 3.4605 Å, α = 90.00°, β = 90.00° and γ = 120.00°. The distinct sites, in fractional coordinates, are Zr at (0.0000, 0.0000, 0.0000), Be at (0.0000, 0.5000, 0.5000) and Be at (0.3333, 0.6667, 0.0000).

The value obtained for the raw total energy is -4.782 eV/atom. The mass density comes out at 3.62 g cm⁻³.

# 7
ZrBe2: relaxed, PBE.

It has space group P6/mmm (No. 191), with a = 3.8221 Å, b = 3.8221 Å, c = 3.2375 Å, α = 90.00°, β = 90.00° and γ = 120.00°. The distinct sites, in fractional coordinates, are Zr at (0.0000, 0.0000, 0.0000) and Be at (0.3333, 0.6667, 0.5000).

The value obtained for the raw total energy is -5.506 eV/atom. The mass density comes out at 4.43 g cm⁻³.

# 8
Zr2Be17: relaxed, PBE.
~~~
Similar to most UK higher education institutions, LSBU's taught postgraduate courses operate within a system of credit comparable to the European Credit Transfer System. This means that subject to overall entry requirements, students from other institutions may transfer onto our courses and carry across credits already passed. Additionally, we may also be able to exempt you from elements of your course if you have relevant experience in the subject area, through our regulations for the Accreditation of Prior (Experiential) Learning.
Taught postgraduate courses
At LSBU, our taught courses are flexibly structured in modules to allow students more choice. Applying the knowledge and networks we have in business and industry, our course content is highly practical, applied and professional.
Postgraduate Certificate (PgCert)
This leads towards a named award and has a defined structure consisting of a range of taught elements followed, in some cases, by a dissertation. Full-time students normally study the equivalent of four units in each semester. Part-time study offers a more flexible approach and a range of study patterns.
Postgraduate Diploma (PgDip)
This leads towards a named award and has a defined structure consisting of a range of taught elements followed, in some cases, by a dissertation. Full-time students normally study the equivalent of four units in each semester. Part-time study offers a more flexible approach and a range of study patterns.
Masters (MA/MSc)
Most LSBU Masters courses can be completed to Certificate, Diploma or full Masters level depending on how many credits you accumulate. You can also choose to upgrade a Certificate or Diploma to a higher award at a later date. There is a range of taught elements followed, in some cases, by a dissertation.
Full-time students normally study the equivalent of four units in each of our two semesters, completing their masters dissertation over the summer period, or by the December of the year taught units are completed. Part-time study offers a more flexible approach and a range of study patterns are available.
Full- time | You'll be expected to attend over 2 semesters plus around 10 hours of home study per week |
Part-time | This more flexible approach features a range of study patterns to fit around other commitments |
Block and Day release | In agreement with your employer it is possible to study around the working week, with one day face-to-face contact with the university per week |
Blended learning | Offers three days face-to-face delivery per year with interactive CD-ROM audio recordings, e-learning and online discussion forums. Tutorial support and peer support are key elements and there is 15 hours of home study per week. |
Distance learning | Also known as e-learning, study is completed online, offering the flexibility to work at home anytime |
An MBA is a postgraduate degree in the study of business and is thought to be one of the most prestigious and sought after degrees in the world. MBA students learn the theory and application of business and management principles, equipping them with knowledge that can be applied to a variety of real world business situations.
**Unrelated to this entry: crystal structures**
=====
(1)
DFT (PBE+U) results for a geometry-optimized KMgV5H16O22 structure. Values from VASP.

Geometry as Quantum ESPRESSO input:
```
&SYSTEM
  ibrav = 0, nat = 90, ntyp = 5
/
ATOMIC_SPECIES
K 39.10 K.upf
Mg 24.30 Mg.upf
V 50.94 V.upf
H 1.01 H.upf
O 16.00 O.upf
ATOMIC_POSITIONS angstrom
K -3.623 -4.984 -4.202
K -8.062 -14.763 1.418
Mg -2.449 -4.820 -0.511
Mg -9.235 -14.928 -2.274
V -5.256 -8.929 -0.192
V -6.428 -10.818 -2.593
V -6.798 -7.630 -2.718
V -4.886 -12.117 -0.067
V -3.988 -8.895 -3.171
V -7.696 -10.853 0.386
V -8.082 -7.702 0.161
V -3.602 -12.045 -2.946
V -2.433 -10.180 -0.668
V -9.251 -9.567 -2.117
H -2.973 -7.257 0.815
H -8.711 -12.491 -3.600
H -4.827 -10.623 -5.594
H -6.857 -9.125 2.809
H -2.637 -2.531 -1.971
H -9.047 -17.217 -0.814
H -1.308 -3.269 -2.480
H -10.376 -16.479 -0.305
H -3.252 -10.947 2.219
H -8.432 -8.801 -5.004
H -6.042 -14.172 -4.145
H -5.643 -5.575 1.360
H -0.398 -1.544 0.014
H -11.286 -18.203 -2.799
H -0.753 -11.021 2.450
H -10.931 -8.727 -5.235
H -9.566 -9.222 2.246
H -2.119 -10.526 -5.031
H -3.099 -8.287 -6.213
H -8.585 -11.461 3.428
H -4.688 -6.164 -1.436
H -6.996 -13.583 -1.349
H -5.086 -4.624 -1.150
H -6.599 -15.123 -1.635
H -1.984 -7.166 -1.808
H -9.701 -12.581 -0.977
H -0.813 -6.164 -2.253
H -10.871 -13.584 -0.532
H -5.597 -7.054 -6.316
H -6.088 -12.693 3.531
H -4.260 -3.761 1.083
H -7.425 -15.987 -3.868
O -6.426 -6.446 -3.794
O -5.258 -13.302 1.009
O -8.469 -8.263 -3.237
O -3.215 -11.485 0.452
O -5.005 -7.789 -1.788
O -6.679 -11.959 -0.997
O -3.580 -8.861 0.318
O -8.105 -10.886 -3.103
O -6.119 -7.737 0.715
O -5.566 -12.010 -3.500
O -7.037 -9.355 -1.187
O -4.647 -10.393 -1.598
O -3.624 -7.764 -4.310
O -8.061 -11.983 1.525
O -3.525 -10.455 -4.030
O -8.160 -9.293 1.245
O -2.493 -8.842 -2.069
O -9.191 -10.906 -0.716
O -7.459 -6.694 -1.286
O -4.226 -13.054 -1.499
O -2.121 -11.472 -1.983
O -9.563 -8.275 -0.802
O -8.717 -6.572 1.166
O -2.967 -13.176 -3.951
O -5.753 -10.494 0.781
O -5.931 -9.253 -3.566
O -0.961 -9.949 -0.009
O -10.724 -9.799 -2.776
O -2.720 -6.312 0.954
O -8.964 -13.435 -3.739
O -2.215 -3.409 -2.096
O -9.469 -16.339 -0.689
O -5.928 -15.140 -4.229
O -5.756 -4.607 1.444
O -3.750 -5.662 -6.871
O -7.934 -14.086 4.086
O -0.608 -4.362 0.330
O -11.076 -15.385 -3.115
O -4.344 -5.229 -1.364
O -7.340 -14.519 -1.421
O -1.724 -6.210 -1.849
O -9.960 -13.538 -0.936
O -3.427 -3.448 0.631
O -8.258 -16.299 -3.416
CELL_PARAMETERS angstrom
-2.563 -4.364 -7.415
0.736 -10.565 2.293
-9.857 -4.818 2.337
```

Computed properties:
symmetry: P-1, No. 2

---

(2)
DFT (PBE+U) results for a geometry-optimized KMnP2H5O9 structure. Values from VASP.

Geometry as Quantum ESPRESSO input:
```
&SYSTEM
  ibrav = 0, nat = 72, ntyp = 5
/
ATOMIC_SPECIES
K 39.10 K.upf
Mn 54.94 Mn.upf
P 30.97 P.upf
H 1.01 H.upf
O 16.00 O.upf
ATOMIC_POSITIONS angstrom
K 2.228 -0.767 -10.429
K 0.241 4.164 -4.253
K -0.276 -3.494 -7.967
K 1.711 -8.425 -14.142
Mn 6.005 -2.824 -12.469
Mn 0.206 1.352 -8.093
Mn -4.042 -1.366 -5.980
Mn 1.757 -5.541 -10.355
=====
Master of Business Administration (MBA)
Our Master of Business Administration (MBA) focuses on business and management in an international context.
Diploma in Management Studies (DMS)
This course is accredited by the Chartered Management Institute and is designed for managers who want to develop and accredit their professional competence and knowledge base on a part-time basis over a year.